African American
Related: About this forumThe Police *report* on the Phoenix couple's not lost on me - the cops didn't have their body cameras on.
No cameras? Then nothing they say is the truth.
Wouldn't a dash cam or store video show underwear being thrown out a window?
And then they *thought* the couple were reaching for weapons?
How did the infant the mother was holding get *dead arm* and injured if officer Christopher Meyers was so polite as to offer to let the mother place her child in shade?
This doesn't make sense. Their police report doesn't make sense.

'''
Diffraction record for LiFeF3. The powder diffraction line list is calculated, not measured: it uses the PBE+U geometry in the Materials Project and Cu Kα (weighted mean of Kα1 and Kα2).
No peak broadening, texture or thermal motion is included.

a b c (Å): 5.651 5.651 7.819
angles (deg): 90.00 90.00 90.00
Space group I4/mcm (No. 140)
Unique sites:
Li1 0.000 0.500 0.250
Fe1 0.000 0.000 0.000
F1 0.000 0.000 0.250
F2 0.161 0.339 0.000

Largest 10 diffraction maxima, sorted by position, 2θ from 10° to 90°:
index  2theta  I_rel
1 1 0  22.25  100.0
0 0 2  22.74  66.5
2 0 0  31.67  45.2
1 1 2  32.03  21.1
2 1 1  37.40  22.6
2 2 0  45.39  28.7
0 0 4  46.45  23.8
3 1 0  51.11  40.2
3 1 2  56.63  29.5
3 1 4  71.53  24.3

Diffraction record for LiFe2F5. The powder diffraction line list is calculated, not measured: it uses the PBE+U geometry in the Materials Project and Cu Kα (weighted mean of Kα1 and Kα2).
No peak broadening, texture or thermal motion is included.

a b c (Å): 3.971 10.406 10.391
angles (deg): 90.00 90.00 90.00
Space group Cmcm (No. 63)
Unique sites:
Li1 0.000 0.180 0.250
Fe1 0.000 0.136 0.569
F1 0.000 0.055 0.115
F2 0.000 0.233 0.750
F3 0.000 0.319 0.065

Largest 10 diffraction maxima, sorted by position, 2θ from 10° to 90°:
index  2theta  I_rel
0 0 2  17.06  87.8
0 2 1  19.08  32.7
1 1 0  23.98  100.0
0 2 3  31.02  68.5
0 4 0  34.48  18.6
0 4 2  38.71  27.6
2 0 0  45.69  36.2
0 2 5  47.09  24.4
2 2 3  56.25  22.4
1 5 3  56.56  32.3

Diffraction record for LiFe2F5. The powder diffraction line list is calculated, not measured: it uses the PBE+U geometry in the Materials Project and Cu Kα (weighted mean of Kα1 and Kα2).
No peak broadening, texture or thermal motion is included.

a b c (Å): 11.750 5.327 5.470
angles (deg): 90.00 91.16 90.00
Space group C2/c (No. 15)
Unique sites:
Li1 0.250 0.250 0.000
Fe1 0.095 0.246 0.538
F1 0.000 0.045 0.250
F2 0.088 0.380 0.906
F3 0.219 0.088 0.338

Largest 10 diffraction maxima, sorted by position, 2θ from 10° to 90°:
index  2theta  I_rel
2 0 0  15.08  33.4
1 1 1  24.63  100.0
3 1 -1  32.53  51.7
0 0 2  32.75  24.5
3 1 1  33.01  42.5
4 0 2  45.79  24.8
4 2 0  46.00  27.1
0 2 2  47.66  36.9
3 1 -3  58.02  24.5
3 3 -1  59.47  27.0

Diffraction record for LiFe2F7. The powder diffraction line list is calculated, not measured: it uses the PBE+U geometry in the Materials Project and Cu Kα (weighted mean of Kα1 and Kα2).
No peak broadening, texture or thermal motion is included.

a b c (Å): 5.583 5.185 10.107
angles (deg): 90.00 98.82 90.00
Space group P2/c (No. 13)
Unique sites:
Li1 0.000 0.057 0.250
Fe1 0.424 0.250 0.570
F1 0.153 0.100 0.623
F2 0.285 0.432 0.987
F3 0.361 0.061 0.392
F4 0.500 0.403 0.750

Largest 10 diffraction maxima, sorted by position, 2θ from 10° to 90°:
index  2theta  I_rel
1 0 0  16.07  100.0
0 0 2  17.76  45.4
0 1 1  19.29  35.3
1 1 -1  24.30  41.1
1 0 2  25.84  19.5
0 1 3  31.95  25.9
2 1 -1  36.79  16.6
0 1 4  40.07  24.9
2 2 2  53.65  15.1
1 3 -3  61.60  14.0
'''
(34,755 posts)the driver followed all instructions, still thrown against the car, kicked, hit, and screamed at.
police report said they were "combative"... they clearly were not
Wellstone ruled
(34,661 posts)for Maricopa County Tax payers to foot.
(34,589 posts)Police Officers should be licensed and have to carry insurance.
I don't care how, what obstacles are in the way, how it's anti union blah blah blah.
Put the financial burden on the individual.
(902 posts)JustAnotherGen
(34,589 posts)Need a very specific malpractice insurance. It goes beyond the gun. Eric Garner was choked to death.
I didn't sign up for a job that requires me to put my hands on people.
That responsibility carries a weight beyond the individual.
When a cop chokes someone in a black neighborhood in NYC - the neighborhood pays the settlement too.
I'm sure there is a wink and nod among the Union of - don't worry. You aren't personally financially liable.
I can't imagine a top tier hospital has that same wink and nod among heart surgeons - who also signed up to use their hands for the greater good.
Police Officer Malpractice Insurance is doable - General Population is not.
I would also like to see people start suing the police unions when it's found they have protected a repeat offender who ends up murdering someone.
(16,573 posts)This has nothing to do with Maricopa County...this is all on the City of Phoenix!
If it was the sheriff's department, then the county taxpayers would be footing the bill...but Phoenix PD is in this all by itself!
Wellstone ruled
(34,661 posts)to bust your statement but,who do you think pays Phoenix PD,the friggin Taxpayers of Maricopa County as well as the state of Arizona via Property and Sales Taxes. Most likely they have a Catastrophic Self Insured plan that most likely has a Per Time Dollar Cap. All those folks in Phoenix get ready for Special Tax added to their Property or Utility Bills.
Nothing changes until these Bullies with Badges get their sorry butts fired and are not allowed another Job in Law Enforcement. Said this before,sorry to say,all the Bad Apples from up North end up here in the Southwest.
(14,674 posts)in that any means justifies the end. There's a corrupt mindset that the status quo must be protected for the overall good of the people, so malfeasance is covered up or disregarded. That disease may apply only to an individual cop, or may be spread throughout the entire department and even the city government.
Regardless, it's still corrupt thinking and contrary to fair justice.....
(35,157 posts)That is where the buck stops. Only elect those that run on police reform to save your tax dollars.
Wellstone ruled
(34,661 posts)asking a question as to how these bad apples get new assignments in other Cities. Understand the Police Union is very successful in sealing discharged persons files and the Hiring people only get name rank and number,and the baggage is buried never to be seen.
Same for disbarred Lawyers and Accountants.
(35,157 posts)Wellstone ruled
(34,661 posts)tried his best to get rid of a dirty Cop but, he ended up a Suicide victim instead. Once the power players got wind of the who what and where. The Crap got so intense and the result was a twenty year Guy did himself in.
(3,100 posts)What is the point of body cameras if they can turn them on and off whenever they want? It's complete and utter bullshit how this situation was handled. A pregnant woman holding a baby, seriously come on now? And to the pathetic person that called in the report, it's absolutely ridiculous. It's a good thing people were out and about filming it. Sad but true.
(230,279 posts)
(6,956 posts)Another they were reaching for weapons my life was in danger so I had to use excessive force bullshit excuse. GTFOH!
Dream Girl
(5,111 posts)locks
(2,012 posts)If they actually shoplifted underwear and a baby doll and have to pay back two dollars to the dollar store they will get only $9,999,998 plus (we can only hope) an apology from the Phoenix police.
(24,492 posts)marble falls
(63,821 posts)Hulk
(6,699 posts)...and the union backs these thugs up no matter how awful they are.
Really gives unions a bad name.
(14,399 posts)Uh....I quite clearly heard her more than once cry out that she couldn't put her hands up because she was holding a baby.
(34,589 posts)That report is gibberish.
(18,470 posts)That report is horseshit.